Listing
/*
Theoretical X-ray powder pattern
Compound: Al2CdTe4
Radiation: a wavelength of 1.5418 Å
Structure: a cell relaxed with PBE

Structural model:
Cell lengths 8.4566, 8.4566, 11.7332 Å; angles 90.00, 90.00, 90.00 degrees
Fractional positions:
Al: 0.0000 0.2553 0.0000
Al: 0.0000 0.7447 0.5000
Al: 0.2408 0.2408 0.3750
Al: 0.2408 0.7592 0.1250
Al: 0.2553 0.0000 0.7500
Al: 0.7447 0.0000 0.2500
Al: 0.7592 0.2408 0.6250
Al: 0.7592 0.7592 0.8750
Cd: 0.2546 0.5000 0.7500
Cd: 0.5000 0.2546 0.0000
Cd: 0.5000 0.7454 0.5000
Cd: 0.7454 0.5000 0.2500
Te: 0.0180 0.2375 0.7613
Te: 0.0180 0.7625 0.7387
Te: 0.2375 0.0180 0.9887
Te: 0.2375 0.9820 0.5113
Te: 0.2383 0.4889 0.0059
Te: 0.2383 0.5111 0.4941
Te: 0.4889 0.2383 0.7441
Te: 0.4889 0.7617 0.7559
Te: 0.5111 0.2383 0.2559
Te: 0.5111 0.7617 0.2441
Te: 0.7617 0.4889 0.9941
Te: 0.7617 0.5111 0.5059
Te: 0.7625 0.0180 0.0113
Te: 0.7625 0.9820 0.4887
Te: 0.9820 0.2375 0.2387
Te: 0.9820 0.7625 0.2613

The 10 most intense peaks (10 to 90 degrees two-theta), by intensity:
- 2θ = 29.88°, rel. 100
- 2θ = 25.98°, rel. 95
- 2θ = 43.21°, rel. 82
- 2θ = 30.47°, rel. 48
- 2θ = 42.77°, rel. 42
- 2θ = 53.42°, rel. 35
- 2θ = 50.72°, rel. 26
- 2θ = 12.90°, rel. 25
- 2θ = 78.64°, rel. 23
- 2θ = 39.17°, rel. 14

---

Theoretical X-ray powder pattern
Compound: Ag2Te2O7
Radiation: a wavelength of 1.5418 Å
Structure: a cell relaxed with PBE

Structural model:
Cell lengths 7.3462, 7.3462, 7.3462 Å; angles 120.15, 91.71, 117.89 degrees
Fractional positions:
Ag: 0.0000 0.0000 0.0000
Ag: 0.5000 0.0000 0.0000
Ag: 0.5000 0.0000 0.5000
Ag: 0.5000 0.5000 0.5000
Te: 0.0000 0.0000 0.5000
Te: 0.0000 0.5000 0.0000
Te: 0.0000 0.5000 0.5000
Te: 0.5000 0.5000 0.0000
O: 0.0482 0.2243 0.4138
O: 0.0482 0.6343 0.8239
O: 0.0918 0.8418 0.2500
O: 0.3092 0.7216 0.5876
O: 0.3104 0.2243 0.6761
O: 0.3104 0.6343 0.0862
O: 0.3659 0.2784 0.0876
O: 0.6341 0.7216 0.9124
O: 0.6896 0.3657 0.9138
O: 0.6896 0.7757 0.3239
O: 0.6908 0.2784 0.4124
O: 0.9082 0.1582 0.7500
O: 0.9518 0.3657 0.1761
O: 0.9518 0.7757 0.5862

The 10 most intense peaks (10 to 90 degrees two-theta), by intensity:
- 2θ = 29.33°, rel. 100
- 2θ = 29.99°, rel. 94
- 2θ = 49.70°, rel. 69
- 2θ = 34.03°, rel. 49
- 2θ = 57.66°, rel. 31
- 2θ = 58.82°, rel. 27
- 2θ = 35.08°, rel. 23
- 2θ = 59.43°, rel. 14
- 2θ = 48.02°, rel. 13
- 2θ = 60.84°, rel. 12

---

Theoretical X-ray powder pattern
Compound: HoB2C
Radiation: a wavelength of 1.5418 Å
Structure: a cell relaxed with PBE

Structural model:
Cell lengths 6.7769, 6.7769, 7.4033 Å; angles 90.00, 90.00, 90.00 degrees
Fractional positions:
Ho: 0.1904 0.3096 0.2500
Ho: 0.1904 0.3096 0.7500
Ho: 0.3096 0.8096 0.2500
Ho: 0.3096 0.8096 0.7500
Ho: 0.6904 0.1904 0.2500
Ho: 0.6904 0.1904 0.7500
Ho: 0.8096 0.6904 0.2500
Ho: 0.8096 0.6904 0.7500
B: 0.0345 0.8480 0.0000
B: 0.0945 0.5969 0.0000
B: 0.0969 0.5945 0.5000
B: 0.1520 0.0345 0.5000
B: 0.3480 0.5345 0.5000
B: 0.4031 0.0945 0.5000
B: 0.4055 0.0969 0.0000
B: 0.4655 0.3480 0.0000
B: 0.5345 0.6520 0.0000
B: 0.5945 0.9031 0.0000
B: 0.5969 0.9055 0.5000
B: 0.6520 0.4655 0.5000
B: 0.8480 0.9655 0.5000
B: 0.9031 0.4055 0.5000
B: 0.9055 0.4031 0.0000
B: 0.9655 0.1520 0.0000
C: 0.0406 0.8226 0.5000
C: 0.1774 0.0406 0.0000
C: 0.3226 0.5406 0.0000
C: 0.4594 0.3226 0.5000
C: 0.5406 0.6774 0.5000
C: 0.6774 0.4594 0.0000
C: 0.8226 0.9594 0.0000
C: 0.9594 0.1774 0.5000

The 10 most intense peaks (10 to 90 degrees two-theta), by intensity:
- 2θ = 38.39°, rel. 100
- 2θ = 35.93°, rel. 80
- 2θ = 29.47°, rel. 79
- 2θ = 26.30°, rel. 71
- 2θ = 24.04°, rel. 61
- 2θ = 61.75°, rel. 43
- 2θ = 55.94°, rel. 37
- 2θ = 77.70°, rel. 28
- 2θ = 58.43°, rel. 24
- 2θ = 45.07°, rel. 24

---

Theoretical X-ray powder pattern
Compound: Mo2Ir3Pt3
Radiation: a wavelength of 1.5418 Å
Structure: a cell relaxed with PBE

Structural model:
Cell lengths 5.5692, 5.5692, 4.4756 Å; angles 90.00, 90.00, 120.00 degrees
Fractional positions:
Mo: 0.0000 0.0000 0.0000
Mo: 0.3333 0.6667 0.5000
Ir: 0.0042 0.5021 0.0000
Ir: 0.4979 0.5021 0.0000
*/

Assignment
Now quote the rows further above from the first line to the one with "0.4594 0.3226" without altering anything.

Worked solution
Theoretical X-ray powder pattern
Compound: Al2CdTe4
Radiation: a wavelength of 1.5418 Å
Structure: a cell relaxed with PBE

Structural model:
Cell lengths 8.4566, 8.4566, 11.7332 Å; angles 90.00, 90.00, 90.00 degrees
Fractional positions:
Al: 0.0000 0.2553 0.0000
Al: 0.0000 0.7447 0.5000
Al: 0.2408 0.2408 0.3750
Al: 0.2408 0.7592 0.1250
Al: 0.2553 0.0000 0.7500
Al: 0.7447 0.0000 0.2500
Al: 0.7592 0.2408 0.6250
Al: 0.7592 0.7592 0.8750
Cd: 0.2546 0.5000 0.7500
Cd: 0.5000 0.2546 0.0000
Cd: 0.5000 0.7454 0.5000
Cd: 0.7454 0.5000 0.2500
Te: 0.0180 0.2375 0.7613
Te: 0.0180 0.7625 0.7387
Te: 0.2375 0.0180 0.9887
Te: 0.2375 0.9820 0.5113
Te: 0.2383 0.4889 0.0059
Te: 0.2383 0.5111 0.4941
Te: 0.4889 0.2383 0.7441
Te: 0.4889 0.7617 0.7559
Te: 0.5111 0.2383 0.2559
Te: 0.5111 0.7617 0.2441
Te: 0.7617 0.4889 0.9941
Te: 0.7617 0.5111 0.5059
Te: 0.7625 0.0180 0.0113
Te: 0.7625 0.9820 0.4887
Te: 0.9820 0.2375 0.2387
Te: 0.9820 0.7625 0.2613

The 10 most intense peaks (10 to 90 degrees two-theta), by intensity:
- 2θ = 29.88°, rel. 100
- 2θ = 25.98°, rel. 95
- 2θ = 43.21°, rel. 82
- 2θ = 30.47°, rel. 48
- 2θ = 42.77°, rel. 42
- 2θ = 53.42°, rel. 35
- 2θ = 50.72°, rel. 26
- 2θ = 12.90°, rel. 25
- 2θ = 78.64°, rel. 23
- 2θ = 39.17°, rel. 14

---

Theoretical X-ray powder pattern
Compound: Ag2Te2O7
Radiation: a wavelength of 1.5418 Å
Structure: a cell relaxed with PBE

Structural model:
Cell lengths 7.3462, 7.3462, 7.3462 Å; angles 120.15, 91.71, 117.89 degrees
Fractional positions:
Ag: 0.0000 0.0000 0.0000
Ag: 0.5000 0.0000 0.0000
Ag: 0.5000 0.0000 0.5000
Ag: 0.5000 0.5000 0.5000
Te: 0.0000 0.0000 0.5000
Te: 0.0000 0.5000 0.0000
Te: 0.0000 0.5000 0.5000
Te: 0.5000 0.5000 0.0000
O: 0.0482 0.2243 0.4138
O: 0.0482 0.6343 0.8239
O: 0.0918 0.8418 0.2500
O: 0.3092 0.7216 0.5876
O: 0.3104 0.2243 0.6761
O: 0.3104 0.6343 0.0862
O: 0.3659 0.2784 0.0876
O: 0.6341 0.7216 0.9124
O: 0.6896 0.3657 0.9138
O: 0.6896 0.7757 0.3239
O: 0.6908 0.2784 0.4124
O: 0.9082 0.1582 0.7500
O: 0.9518 0.3657 0.1761
O: 0.9518 0.7757 0.5862

The 10 most intense peaks (10 to 90 degrees two-theta), by intensity:
- 2θ = 29.33°, rel. 100
- 2θ = 29.99°, rel. 94
- 2θ = 49.70°, rel. 69
- 2θ = 34.03°, rel. 49
- 2θ = 57.66°, rel. 31
- 2θ = 58.82°, rel. 27
- 2θ = 35.08°, rel. 23
- 2θ = 59.43°, rel. 14
- 2θ = 48.02°, rel. 13
- 2θ = 60.84°, rel. 12

---

Theoretical X-ray powder pattern
Compound: HoB2C
Radiation: a wavelength of 1.5418 Å
Structure: a cell relaxed with PBE

Structural model:
Cell lengths 6.7769, 6.7769, 7.4033 Å; angles 90.00, 90.00, 90.00 degrees
Fractional positions:
Ho: 0.1904 0.3096 0.2500
Ho: 0.1904 0.3096 0.7500
Ho: 0.3096 0.8096 0.2500
Ho: 0.3096 0.8096 0.7500
Ho: 0.6904 0.1904 0.2500
Ho: 0.6904 0.1904 0.7500
Ho: 0.8096 0.6904 0.2500
Ho: 0.8096 0.6904 0.7500
B: 0.0345 0.8480 0.0000
B: 0.0945 0.5969 0.0000
B: 0.0969 0.5945 0.5000
B: 0.1520 0.0345 0.5000
B: 0.3480 0.5345 0.5000
B: 0.4031 0.0945 0.5000
B: 0.4055 0.0969 0.0000
B: 0.4655 0.3480 0.0000
B: 0.5345 0.6520 0.0000
B: 0.5945 0.9031 0.0000
B: 0.5969 0.9055 0.5000
B: 0.6520 0.4655 0.5000
B: 0.8480 0.9655 0.5000
B: 0.9031 0.4055 0.5000
B: 0.9055 0.4031 0.0000
B: 0.9655 0.1520 0.0000
C: 0.0406 0.8226 0.5000
C: 0.1774 0.0406 0.0000
C: 0.3226 0.5406 0.0000
C: 0.4594 0.3226 0.5000